Thursday, June 2, 2011


DLI is the hardest school ever. Also, I'm in the hardest language ever!
Arabic is very difficult to read, and understand, and speak. It's based on a "root system" that supposedly is based on logic and makes complete sense. :| This is not (totally) true. The word for "flag" is also the same word for "world" and "to study." Add a letter and it becomes "science." Seriously? how are these connected? Who came up with this? Curse it.
There are 2 T's ت ط, D's ض د, H's ح ه, and 2 S's س ص. There is a "ghayn" غwhich is either pronounced like a messed up G, or a very very French R. And there is an "ayn" ع which is not pronounced correctly unless you are about to gag/choke on the back of your tongue. There is also a "th" ث as theater, and a "th" ظ as in the. AND there is a letter that's said by temporarily blocking your throat ء .

Sunday, September 5, 2010

Gas Chamber

Here is Heather's Gas chamber experience:

"It totally and completely sucked. I'm so happy that I'll never have to do it again.
We got our makss the day before, and made sure that they fit and all that.... Then on Monday, when my platoon got all lined up to go in, I started getting really really anxious. I was next to one of the Mormon guys, Tobiassen. Anyways, when we put our masks on and sealed them, I started crying. Not tearing up, or my eyes getting watery-I started crying. Really hard. Tobiassen kept telling me I'd by okay, but I just kept crying. Thank goodness there were no drill sergeants around. One sergeant walked past me, read my name tape and said, 'You're scared as hell ain't you Howard?' 'Yes Sergeant!' (I had to scream 'cause those masks really muffle your voice. He said, "You'll be alright.' But I still kept crying.

It was dark in the gas chamber, they didn't have any of the lights on. All our light came from the door we walked in through. Almost immediately all our necks started burning. At first, it felt a little bit like a sunburn that you accidently put astringent on. Then it started burning really bad, and stinging like crazy!! The drill sergeants came past us one at a time and made us say our full name, rank and full SS #. I forgot to take a breath before I unsealed my mask though. So, I got a big breath full of tear gas and still had to sound off. Oh yeah, I was the first one to go too. Then I resealed my mask. After everyone else went (about 1/2 my platoon was there with me), we had to take our masks off the whole way. All the way off, open our eyes and say the soldiers creed. I got up to 'I will never leave a fallen comrade', then I started coughing too hard. When they let us out, we booked it out of there! I remember leaning on a yellow handrail after I escaped. Everything burned so dang much- except my eyes, but I think that's just because I'd been crying so much. Then we had to flap our arms(to air out our ACUs) and walk back down the hill. I had snot hanging down at least a foot and spit too. I kept coughing and there wasn't anything we could do. Then I dry-heaved like I've never done before. I'm surprised stuff didn't go flying. Two days later (Wednesday), my neck, face and hands itch really bad. I think it's cause we didn't get to shower for the rest of the day, so that gas was left on me.

Sunday, August 22, 2010

Basic Training

Hello all associates and family of Heather The Mighty, this is Amber (Heathers friend). Heather asked me to update her blog for her while she was in Basic training and I was happy to oblige. I'm sorry it has taken me so long to post them. If you would like Heathers address, so you can send her uplifting letters, you can contact her mom or me at: You can also leave a comment here and I will get it to you. here is Heathers first update from basic training:

Basic Training. It Sucks. I hate it here.
First day, all the drill sergeants in my platoon and for the platoon that I sleep in learned my friggen name the first day! It wasn't even my fault, it was because my laundry bag ((which has my name and last 4 digits of my ssn) got taken during the first shark attack. So my drill sergeants knew who i was right off. Then, because I wasn't in my sleeping bay all day long, I didn't know that my bag had been returned. So we all got smoked. Then I had to empty out everything I had including the assault pack that I just barely got issued. Then I had to pack it all back up in 30 seconds (I had to get two other people to help me) and it had taken me almost this whole week to get my locker in order.
The highlights of basic so far...uhm...I got to do laundry today (this was from Sunday the 15 of August) and I got to go to church!!! I slept through half of sacrament, its ok though I woke up in time to say the closing prayer. Thats it. All the high points. Oh! wait! We did victory tower this week. That was pretty fun.

Saturday, July 31, 2010

Materials data from another source follow >
........
(1)
DFT (PBE) results for crystalline CsK2ZnP at its relaxed geometry.

For the formation energy, the calculation gives 0.004 eV/atom.

Structure (CIF):
```
data_CsK2ZnP
_space_group_name_H-M_alt 'P 4/m m m'
_space_group_IT_number 123
_space_group_name_Hall '-P 4 2'
_cell_length_a 6.510
_cell_length_b 6.510
_cell_length_c 5.005
_cell_angle_alpha 90.00
_cell_angle_beta 90.00
_cell_angle_gamma 90.00
loop_
_atom_site_label
_atom_site_fract_x
_atom_site_fract_y
_atom_site_fract_z
_atom_site_occupancy
Cs1 0.000 0.000 0.000 1
K1 0.000 0.500 0.500 1
Zn1 0.500 0.500 0.000 1
P1 0.500 0.500 0.500 1
```



(2)
DFT (PBE) results for crystalline CsK2Pa3S8 at its relaxed geometry.

The formation energy from raw total energies is -1.5339 eV per atom.

Structure (CIF):
```
data_CsK2Pa3S8
_space_group_name_H-M_alt 'R 3 m'
_space_group_IT_number 160
_space_group_name_Hall 'R 3 -2"'
_cell_length_a 8.3139
_cell_length_b 8.3139
_cell_length_c 23.5597
_cell_angle_alpha 90.00
_cell_angle_beta 90.00
_cell_angle_gamma 120.00
loop_
_atom_site_label
_atom_site_fract_x
_atom_site_fract_y
_atom_site_fract_z
_atom_site_occupancy
Cs1 0.0000 0.0000 0.0000 1
K1 0.0000 0.0000 0.2629 1
K2 0.0000 0.0000 0.6357 1
Pa1 0.0010 0.5005 0.1358 1
S1 0.0000 0.0000 0.4075 1
S2 0.0000 0.0000 0.8603 1
S3 0.0427 0.5213 0.4092 1
S4 0.1852 0.3704 0.1970 1
```



(3)
DFT (PBE) results for crystalline Cs2KPa3S8 at its relaxed geometry.

The formation energy from raw total energies is -1.5289 eV per atom.

Structure (CIF):
```
data_Cs2KPa3S8
_space_group_name_H-M_alt 'R 3 m'
_space_group_IT_number 160
_space_group_name_Hall 'R 3 -2"'
_cell_length_a 8.3006
_cell_length_b 8.3006
_cell_length_c 24.7905
_cell_angle_alpha 90.00
_cell_angle_beta 90.00
_cell_angle_gamma 120.00
loop_
_atom_site_label
_atom_site_fract_x
_atom_site_fract_y
_atom_site_fract_z
_atom_site_occupancy
Cs1 0.0000 0.0000 0.0000 1
Cs2 0.0000 0.0000 0.3631 1
K1 0.0000 0.0000 0.7453 1
Pa1 0.1671 0.3342 0.1971 1
S1 0.0000 0.0000 0.1400 1
S2 0.0000 0.0000 0.5895 1
S3 0.0356 0.5178 0.1395 1
S4 0.1842 0.3684 0.9197 1
```



(4)
DFT (PBE) results for crystalline Cs2KPaS4 at its relaxed geometry.

The formation energy from raw total energies is -1.4563 eV per atom.

Structure (CIF):
```
data_Cs2KPaS4
_space_group_name_H-M_alt 'P 1 2/m 1'
_space_group_IT_number 10
_space_group_name_Hall '-P 2y'
_cell_length_a 7.813
_cell_length_b 4.287
_cell_length_c 8.357
_cell_angle_alpha 90.00
_cell_angle_beta 107.91
_cell_angle_gamma 90.00
loop_
_atom_site_label
_atom_site_fract_x
_atom_site_fract_y
_atom_site_fract_z
_atom_site_occupancy
Cs1 0.000 0.000 0.000 1
Cs2 0.500 0.500 0.000 1
K1 0.000 0.500 0.500 1
Pa1 0.500 0.000 0.500 1
S1 0.292 0.000 0.684 1
S2 0.309 0.500 0.319 1
```



(5)
DFT (PBE) results for crystalline Cs3K2PaSe6 at its relaxed geometry.

The formation energy from raw total energies is -1.1506 eV per atom.

Structure (CIF):
```
data_Cs3K2PaSe6
_space_group_name_H-M_alt 'C 1 2/m 1'
_space_group_IT_number 12
_space_group_name_Hall '-C 2y'
........

3...2...1... !!!

Countdown: 2 days!
I'm freaking out a little! But it's ok. I'll be fine.

Kino Staff 2010; I will miss you all a ton! It makes me sad thinking about not being back next summer. Stay awesome!

Everybody else; I will miss you too. But I'll be back at Christmas if you still love me enough to hang out!

Friday, July 23, 2010


8 days to go!! Not counting tonight.

Monday, July 19, 2010

Injury Update

A girl who works at Carson with me is a trainer during the school year. She taught me how to tape up my arches so that I can run without my shin splints getting worse. I don't have issues with shin splints anymore now. Since then, I had an accident at Kino, a little more than a week ago. I pulled a cart over the back of my foot, and was barely able to catch myself to keep from passing out. EMS had to be called, and Dad had to drive me to the hospital. On the drive there, I went into shock and had what I guess was a seizure. It was scary, and totally freaked me out. I couldn't work for a few days after that.

Saturday, June 26, 2010

PT test

Tuesday was the first PT test that I actually went to. There are two tests you can do, the 1-1-1 and the 2-2-2. I did the 1-1-1. It's 1 minute of push-ups, 1 minute of sit-ups, and a one mile run. I have to be able to do 3 push-ups, 17 sit-ups, and the mile in under 10:30. I did 20 push-ups, 23 sit-ups, and the mile in 10:25. Yay!
And then my shin-splints that been growing more painful became terrible. After I taught lessons I raced our manager to see who would swim at Lifeguard Olympics, then my leg hurt even more! When I went and worked at Carson a few minutes later, I almost cried during the whole shift. I talked to a trainer, and now worry that my leg will break in the near future. Or that it already has an incomplete stress fracture. I'm choosing to believe that it hasn't fractured yet.